**Request**
Start at the top of the block below and transcribe each line, ending with the one that has "-2.103 -0.931", please.

**Contents**
=====
[1]
C50H69N3OP3SiV as an isolated structure in a non-equilibrium geometry. Source: OMol25; level of theory: the ωB97M-V functional and the def2-TZVPD basis.

Calculated values
HOMO energy (alpha / beta) = -0.0859 / -0.1236 hartree
frontier orbital gap (alpha / beta) = 0.1745 / 0.2114 Ha
LUMO (alpha / beta) = 0.0886 / 0.0878 hartree
⟨S²⟩ = 3.8382

Geometry as ORCA input:
```
! RIJCOSX wB97M-V def2-TZVPD def2/J DEFGRID3
* xyz -1 4
V 0.253 -0.621 -0.689
C -4.044 -0.497 3.349
C -3.557 -0.058 1.970
C -4.636 0.765 1.265
P -2.802 -1.424 0.906
C -4.286 -2.546 0.580
C -3.839 -3.904 0.038
C -5.208 -1.927 -0.483
C -1.903 -2.295 2.257
C -2.422 -3.409 2.917
C -1.753 -3.981 3.986
C -0.559 -3.432 4.422
C -0.033 -2.331 3.766
C -0.668 -1.739 2.671
Si 0.104 -0.190 1.756
C 1.933 -0.303 2.410
C 2.415 0.355 3.549
C 3.700 0.152 4.027
C 4.545 -0.717 3.353
C 4.103 -1.333 2.193
C 2.808 -1.135 1.704
P 2.147 -1.845 -0.005
C 2.715 -3.591 0.560
C 1.828 -4.099 1.691
C 2.840 -4.662 -0.524
C 3.716 -1.407 -0.980
C 3.530 -1.673 -2.472
C 4.075 0.068 -0.766
C -0.508 1.137 3.080
C -0.632 0.792 4.427
C -1.030 1.699 5.398
C -1.365 2.990 5.027
C -1.259 3.367 3.698
C -0.789 2.477 2.731
P -0.706 2.812 0.944
C -1.294 4.588 0.675
C -2.812 4.629 0.906
C -0.607 5.790 1.327
C 1.149 2.968 0.638
C 1.984 3.504 1.796
C 1.412 3.709 -0.674
H -4.539 0.345 3.843
H -3.217 -0.815 3.980
H -4.763 -1.318 3.278
H -2.702 0.601 2.109
H -5.596 0.246 1.273
H -4.348 0.988 0.234
H -4.766 1.713 1.792
H -4.850 -2.685 1.509
H -3.281 -3.767 -0.888
H -4.716 -4.522 -0.180
H -3.197 -4.455 0.723
H -4.806 -2.127 -1.478
H -5.311 -0.851 -0.386
H -6.205 -2.371 -0.423
H -3.371 -3.837 2.622
H -2.174 -4.845 4.487
H -0.044 -3.854 5.277
H 0.909 -1.916 4.108
H 1.773 1.042 4.086
H 4.038 0.655 4.927
H 5.549 -0.906 3.719
H 4.807 -1.964 1.662
H 3.711 -3.445 0.981
H 0.778 -4.122 1.392
H 1.909 -3.443 2.551
H 2.118 -5.110 1.997
H 1.868 -5.027 -0.847
H 3.399 -5.512 -0.118
H 3.376 -4.296 -1.402
H 4.534 -2.036 -0.613
H 2.661 -1.133 -2.842
H 3.384 -2.734 -2.682
H 4.406 -1.335 -3.035
H 3.192 0.685 -0.951
H 4.872 0.379 -1.449
H 4.398 0.269 0.252
H -0.407 -0.219 4.741
H -1.071 1.404 6.440
H -1.692 3.709 5.770
H -1.543 4.375 3.435
H -1.138 4.667 -0.407
H -3.257 3.661 0.668
H -3.288 5.388 0.278
H -3.052 4.857 1.945
H -0.570 5.714 2.412
H -1.163 6.701 1.078
H 0.413 5.920 0.968
H 1.441 1.921 0.474
H 1.690 4.515 2.081
H 3.041 3.520 1.513
H 1.884 2.861 2.670
H 1.309 4.789 -0.561
H 0.722 3.370 -1.450
H 2.431 3.511 -1.018
C -4.322 2.182 -3.013
C -3.164 1.311 -2.567
O -2.247 1.748 -1.909
N -3.232 0.017 -2.955
C -2.103 -0.931 -2.784
C -0.802 -0.420 -3.368
C -0.731 -0.245 -4.728
C 0.344 0.428 -5.321
C 1.310 0.962 -4.440
C 1.211 0.733 -3.100
N 0.207 0.006 -2.497
H -5.174 2.050 -2.344
H -4.626 1.934 -4.031
H -4.004 3.221 -2.970
H -3.908 -0.213 -3.661
H -1.965 -1.126 -1.720
H -2.425 -1.846 -3.279
H -1.547 -0.615 -5.342
H 0.410 0.566 -6.391
H 2.127 1.563 -4.818
H 1.948 1.155 -2.429
N 0.867 -2.364 -0.999
C 0.287 -3.339 -1.786
C -0.543 -4.334 -1.242
C -1.113 -5.314 -2.036
C -0.894 -5.333 -3.408
C -0.078 -4.356 -3.965
C 0.496 -3.375 -3.178
H -0.718 -4.328 -0.173
H -1.740 -6.072 -1.581
H -1.338 -6.102 -4.027
H 0.114 -4.364 -5.032
H 1.125 -2.618 -3.629
*
```

Results of the Mulliken charge analysis, in e, for atoms 1 through 99:
1. V -0.100
2. C -1.738
3. C 3.071
4. C -1.997
5. P 0.562
6. C 0.459
7. C -1.590
8. C -1.592
9. C 0.771
10. C -0.732
11. C -1.174
12. C -0.857
13. C -0.073
14. C 1.123
15. Si -1.249
16. C 0.798
17. C -0.070
18. C -1.046
19. C -0.904
20. C -0.018
21. C -0.669
22. P 2.035
23. C 0.055
24. C -0.932
25. C -1.699
26. C 0.215
27. C -1.584
28. C -1.402
29. C 0.855
30. C -0.351
31. C -1.249
32. C -0.983
33. C -1.075
34. C 0.974
35. P 2.029
36. C 0.292
37. C -1.406
38. C -1.573
39. C 3.111
40. C -1.503
41. C -1.803
42. H 0.486
43. H 0.295
44. H 0.194
45. H -1.897
46. H 0.441
47. H 0.285
48. H 0.433
49. H 0.792
50. H 0.137
51. H 0.540
52. H 0.370
53. H 0.300
54. H 0.313
55. H 0.398
56. H 0.392
57. H 0.333
58. H 0.375
59. H 0.416
=====

**Written answer**
[1]
C50H69N3OP3SiV as an isolated structure in a non-equilibrium geometry. Source: OMol25; level of theory: the ωB97M-V functional and the def2-TZVPD basis.

Calculated values
HOMO energy (alpha / beta) = -0.0859 / -0.1236 hartree
frontier orbital gap (alpha / beta) = 0.1745 / 0.2114 Ha
LUMO (alpha / beta) = 0.0886 / 0.0878 hartree
⟨S²⟩ = 3.8382

Geometry as ORCA input:
```
! RIJCOSX wB97M-V def2-TZVPD def2/J DEFGRID3
* xyz -1 4
V 0.253 -0.621 -0.689
C -4.044 -0.497 3.349
C -3.557 -0.058 1.970
C -4.636 0.765 1.265
P -2.802 -1.424 0.906
C -4.286 -2.546 0.580
C -3.839 -3.904 0.038
C -5.208 -1.927 -0.483
C -1.903 -2.295 2.257
C -2.422 -3.409 2.917
C -1.753 -3.981 3.986
C -0.559 -3.432 4.422
C -0.033 -2.331 3.766
C -0.668 -1.739 2.671
Si 0.104 -0.190 1.756
C 1.933 -0.303 2.410
C 2.415 0.355 3.549
C 3.700 0.152 4.027
C 4.545 -0.717 3.353
C 4.103 -1.333 2.193
C 2.808 -1.135 1.704
P 2.147 -1.845 -0.005
C 2.715 -3.591 0.560
C 1.828 -4.099 1.691
C 2.840 -4.662 -0.524
C 3.716 -1.407 -0.980
C 3.530 -1.673 -2.472
C 4.075 0.068 -0.766
C -0.508 1.137 3.080
C -0.632 0.792 4.427
C -1.030 1.699 5.398
C -1.365 2.990 5.027
C -1.259 3.367 3.698
C -0.789 2.477 2.731
P -0.706 2.812 0.944
C -1.294 4.588 0.675
C -2.812 4.629 0.906
C -0.607 5.790 1.327
C 1.149 2.968 0.638
C 1.984 3.504 1.796
C 1.412 3.709 -0.674
H -4.539 0.345 3.843
H -3.217 -0.815 3.980
H -4.763 -1.318 3.278
H -2.702 0.601 2.109
H -5.596 0.246 1.273
H -4.348 0.988 0.234
H -4.766 1.713 1.792
H -4.850 -2.685 1.509
H -3.281 -3.767 -0.888
H -4.716 -4.522 -0.180
H -3.197 -4.455 0.723
H -4.806 -2.127 -1.478
H -5.311 -0.851 -0.386
H -6.205 -2.371 -0.423
H -3.371 -3.837 2.622
H -2.174 -4.845 4.487
H -0.044 -3.854 5.277
H 0.909 -1.916 4.108
H 1.773 1.042 4.086
H 4.038 0.655 4.927
H 5.549 -0.906 3.719
H 4.807 -1.964 1.662
H 3.711 -3.445 0.981
H 0.778 -4.122 1.392
H 1.909 -3.443 2.551
H 2.118 -5.110 1.997
H 1.868 -5.027 -0.847
H 3.399 -5.512 -0.118
H 3.376 -4.296 -1.402
H 4.534 -2.036 -0.613
H 2.661 -1.133 -2.842
H 3.384 -2.734 -2.682
H 4.406 -1.335 -3.035
H 3.192 0.685 -0.951
H 4.872 0.379 -1.449
H 4.398 0.269 0.252
H -0.407 -0.219 4.741
H -1.071 1.404 6.440
H -1.692 3.709 5.770
H -1.543 4.375 3.435
H -1.138 4.667 -0.407
H -3.257 3.661 0.668
H -3.288 5.388 0.278
H -3.052 4.857 1.945
H -0.570 5.714 2.412
H -1.163 6.701 1.078
H 0.413 5.920 0.968
H 1.441 1.921 0.474
H 1.690 4.515 2.081
H 3.041 3.520 1.513
H 1.884 2.861 2.670
H 1.309 4.789 -0.561
H 0.722 3.370 -1.450
H 2.431 3.511 -1.018
C -4.322 2.182 -3.013
C -3.164 1.311 -2.567
O -2.247 1.748 -1.909
N -3.232 0.017 -2.955
C -2.103 -0.931 -2.784